**Input**
=====
{"formula": "C4H6N2O", "method": "wB97M-V/def2-TZVPD", "total_charge": 0, "energy_ev": -9270.8803, "fmax_ev_per_a": 0.94, "symbols": ["C", "C", "N", "C", "C", "O", "N", "H", "H", "H", "H", "H", "H"], "positions_angstrom": [[-1.02111, -1.25551, 0.45747], [-0.72447, 0.19525, -2.68703], [-0.25011, 0.80241, -1.79967], [0.36009, 1.31964, -0.67258], [0.71965, 0.45593, 0.29999], [1.43599, 0.80452, 1.40484], [0.36687, -0.88178, 0.21002], [-1.66760, -0.38204, 0.32131], [-1.15677, -1.62279, 1.48010], [-1.36093, -2.02848, -0.24207], [0.51478, 2.39242, -0.64632], [1.71050, 1.73261, 1.34198], [1.07311, -1.53218, 0.53196]], "forces_ev_per_angstrom": [[-0.24, -0.16, -0.05], [0.30, 0.62, 0.64], [-0.36, -0.46, -0.73], [0.06, -0.04, 0.20], [-0.15, -0.16, -0.33], [-0.04, 0.09, -0.20], [0.39, 0.29, 0.21], [0.22, -0.17, -0.01], [-0.05, 0.04, -0.06], [0.15, 0.16, 0.09], [-0.03, -0.18, 0.09], [-0.01, -0.26, -0.05], [-0.24, 0.23, 0.19]]}

* * * * *

Formula: C25H28N2O3
Source: the Open Molecules 2025 dataset
Level of theory: ωB97M-V/def2-TZVPD

**Orbital gap**: 8.2 eV
**Molecular weight**: 404.5 g/mol
**Energy above the lowest of the compared OMol25 structures with the same formula, charge and spin**: 157.32 kJ/mol
**Lowest unoccupied orbital energy**: 0.2 eV
**Highest occupied orbital energy**: -0.29308 Eh
**Strongest force on any atom**: 0.01687 Eh/bohr
**Net charge**: 0
**E_tot**: -35501.6515 eV
**Structure (SMILES)**: Cc1ccc(C(=O)/C=C/c2cn(C[C@@H](O)CN3CCOCC3)c3ccccc23)cc1

Last column: natural (NBO) charge in e.
Geometry (Å):
C1 -6.427206 3.159622 -0.765407  -0.629
C2 -5.791952 1.858404 -0.381758  0.003
C3 -6.445129 0.656002 -0.633726  -0.221
C4 -5.877879 -0.546220 -0.263703  -0.148
C5 -4.627276 -0.579764 0.348337  -0.175
C6 -3.976644 0.621160 0.615623  -0.123
C7 -4.557823 1.823004 0.255465  -0.247
H1 -4.045614 2.749489 0.474998  0.208
H2 -3.026243 0.615447 1.129887  0.210
C8 -4.059764 -1.896003 0.751224  0.520
O1 -4.775403 -2.771567 1.209963  -0.545
C9 -2.623975 -2.105155 0.568862  -0.317
C10 -1.863457 -1.419980 -0.301982  -0.139
C11 -0.470583 -1.608646 -0.576823  -0.103
C12 0.179555 -0.971867 -1.614488  0.028
N1 1.483149 -1.339517 -1.678603  -0.367
C13 1.730942 -2.223146 -0.655944  0.208
C14 2.912746 -2.869151 -0.314578  -0.269
C15 2.894275 -3.702185 0.783097  -0.206
C16 1.727514 -3.883975 1.526343  -0.229
C17 0.549660 -3.257172 1.182794  -0.179
C18 0.529720 -2.419061 0.068921  -0.114
H3 -0.333869 -3.414165 1.779051  0.216
H4 1.752037 -4.534536 2.387718  0.216
H5 3.795737 -4.218751 1.076691  0.216
H6 3.815743 -2.729719 -0.889904  0.218
C19 2.473329 -0.764011 -2.538698  -0.217
H7 1.983261 -0.247722 -3.366740  0.217
H8 3.114552 -1.546958 -2.954014  0.220
C20 3.366645 0.240984 -1.785369  0.063
O2 4.360449 0.642380 -2.704349  -0.719
H9 4.964068 1.254082 -2.269460  0.474
C21 2.554177 1.440579 -1.234320  -0.241
N2 2.766777 1.780646 0.154501  -0.444
C22 2.266956 0.801824 1.104009  -0.260
C23 2.330477 1.409561 2.506177  -0.071
O3 3.643770 1.794972 2.837963  -0.520
C24 4.131601 2.733152 1.910450  -0.069
C25 4.125626 2.163384 0.489764  -0.256
H10 4.460279 2.932221 -0.211153  0.200
H11 4.825884 1.310012 0.453558  0.164
H12 5.147559 2.978229 2.224774  0.193
H13 3.509751 3.640588 1.933413  0.167
H14 2.024838 0.677966 3.255338  0.197
H15 1.664223 2.283932 2.549839  0.165
H16 1.231372 0.561811 0.855757  0.212
H17 2.853827 -0.132368 1.098414  0.174
H18 2.798685 2.322801 -1.835549  0.210
H19 1.484851 1.247534 -1.346813  0.204
H20 3.833289 -0.289374 -0.941183  0.169
H21 -0.236182 -0.294093 -2.337657  0.216
H22 -2.331291 -0.649950 -0.905743  0.213
H23 -2.223982 -2.943072 1.118559  0.214
H24 -6.389637 -1.478895 -0.449345  0.228
H25 -7.410393 0.668097 -1.119722  0.210
H26 -5.700745 3.968479 -0.752811  0.215
H27 -7.224260 3.405524 -0.063228  0.224
H28 -6.867999 3.095120 -1.758419  0.219

Force components x, y, z for each atom (eV/Å):
C -0.0336 -0.0031 0.0381
C 0.0684 -0.0176 0.0124
C 0.0456 0.0144 0.0226
C 0.1018 -0.0827 0.0347
C -0.2763 0.2212 0.0002
=====

**Job**
Your job: start at the top of the entries further up and set down each line, ending with the one that has "3.643770 1.794972".

**Result**
{"formula": "C4H6N2O", "method": "wB97M-V/def2-TZVPD", "total_charge": 0, "energy_ev": -9270.8803, "fmax_ev_per_a": 0.94, "symbols": ["C", "C", "N", "C", "C", "O", "N", "H", "H", "H", "H", "H", "H"], "positions_angstrom": [[-1.02111, -1.25551, 0.45747], [-0.72447, 0.19525, -2.68703], [-0.25011, 0.80241, -1.79967], [0.36009, 1.31964, -0.67258], [0.71965, 0.45593, 0.29999], [1.43599, 0.80452, 1.40484], [0.36687, -0.88178, 0.21002], [-1.66760, -0.38204, 0.32131], [-1.15677, -1.62279, 1.48010], [-1.36093, -2.02848, -0.24207], [0.51478, 2.39242, -0.64632], [1.71050, 1.73261, 1.34198], [1.07311, -1.53218, 0.53196]], "forces_ev_per_angstrom": [[-0.24, -0.16, -0.05], [0.30, 0.62, 0.64], [-0.36, -0.46, -0.73], [0.06, -0.04, 0.20], [-0.15, -0.16, -0.33], [-0.04, 0.09, -0.20], [0.39, 0.29, 0.21], [0.22, -0.17, -0.01], [-0.05, 0.04, -0.06], [0.15, 0.16, 0.09], [-0.03, -0.18, 0.09], [-0.01, -0.26, -0.05], [-0.24, 0.23, 0.19]]}

* * * * *

Formula: C25H28N2O3
Source: the Open Molecules 2025 dataset
Level of theory: ωB97M-V/def2-TZVPD

**Orbital gap**: 8.2 eV
**Molecular weight**: 404.5 g/mol
**Energy above the lowest of the compared OMol25 structures with the same formula, charge and spin**: 157.32 kJ/mol
**Lowest unoccupied orbital energy**: 0.2 eV
**Highest occupied orbital energy**: -0.29308 Eh
**Strongest force on any atom**: 0.01687 Eh/bohr
**Net charge**: 0
**E_tot**: -35501.6515 eV
**Structure (SMILES)**: Cc1ccc(C(=O)/C=C/c2cn(C[C@@H](O)CN3CCOCC3)c3ccccc23)cc1

Last column: natural (NBO) charge in e.
Geometry (Å):
C1 -6.427206 3.159622 -0.765407  -0.629
C2 -5.791952 1.858404 -0.381758  0.003
C3 -6.445129 0.656002 -0.633726  -0.221
C4 -5.877879 -0.546220 -0.263703  -0.148
C5 -4.627276 -0.579764 0.348337  -0.175
C6 -3.976644 0.621160 0.615623  -0.123
C7 -4.557823 1.823004 0.255465  -0.247
H1 -4.045614 2.749489 0.474998  0.208
H2 -3.026243 0.615447 1.129887  0.210
C8 -4.059764 -1.896003 0.751224  0.520
O1 -4.775403 -2.771567 1.209963  -0.545
C9 -2.623975 -2.105155 0.568862  -0.317
C10 -1.863457 -1.419980 -0.301982  -0.139
C11 -0.470583 -1.608646 -0.576823  -0.103
C12 0.179555 -0.971867 -1.614488  0.028
N1 1.483149 -1.339517 -1.678603  -0.367
C13 1.730942 -2.223146 -0.655944  0.208
C14 2.912746 -2.869151 -0.314578  -0.269
C15 2.894275 -3.702185 0.783097  -0.206
C16 1.727514 -3.883975 1.526343  -0.229
C17 0.549660 -3.257172 1.182794  -0.179
C18 0.529720 -2.419061 0.068921  -0.114
H3 -0.333869 -3.414165 1.779051  0.216
H4 1.752037 -4.534536 2.387718  0.216
H5 3.795737 -4.218751 1.076691  0.216
H6 3.815743 -2.729719 -0.889904  0.218
C19 2.473329 -0.764011 -2.538698  -0.217
H7 1.983261 -0.247722 -3.366740  0.217
H8 3.114552 -1.546958 -2.954014  0.220
C20 3.366645 0.240984 -1.785369  0.063
O2 4.360449 0.642380 -2.704349  -0.719
H9 4.964068 1.254082 -2.269460  0.474
C21 2.554177 1.440579 -1.234320  -0.241
N2 2.766777 1.780646 0.154501  -0.444
C22 2.266956 0.801824 1.104009  -0.260
C23 2.330477 1.409561 2.506177  -0.071
O3 3.643770 1.794972 2.837963  -0.520